Excerpt =
one | PuCd3Pd: optimized geometry, PBE.

Lattice parameters (Å, degrees): 7.4529 7.4529 15.9037 90.00 90.00 120.00
Space group R3c (No. 161, hexagonal axes)
One atom of each set of equivalent atoms:
Pu  0.0000  0.0000  0.0000 x6
Cd  0.0673  0.5300  0.4805 x18
Pd  0.0000  0.0000  0.1775 x6

***

two | PuCd3Pd: optimized geometry, PBE.

Lattice parameters (Å, degrees): 5.510 5.828 7.558 90.00 110.66 90.00
Space group P2_1/m (No. 11)
One atom of each set of equivalent atoms:
Pu  0.091  0.250  0.389 x2
Cd  0.052  0.250  0.894 x2
Cd  0.490  0.502  0.193 x4
Pd  0.332  0.750  0.466 x2

***

Most stable to least stable, the ends of the list are two and one.

***

one | RbCd4Pd: optimized geometry, PBE.

Lattice parameters (Å, degrees): 5.061 10.107 8.037 90.00 91.33 90.00
Space group P2_1 (No. 4)
One atom of each set of equivalent atoms:
Rb  0.009  0.000  0.260 x2
Cd  0.020  0.000  0.783 x2
Cd  0.482  0.341  0.370 x2
Cd  0.484  0.662  0.368 x2
Cd  0.500  0.250  0.002 x2
Pd  0.475  0.501  0.102 x2

***

two | RbCd4Pd: optimized geometry, PBE.

Lattice parameters (Å, degrees): 5.255 5.255 8.027 90.00 90.00 90.00
Space group P4/mmm (No. 123)
One atom of each set of equivalent atoms:
Rb  0.000  0.000  0.000 x1
Cd  0.000  0.500  0.500 x2
Cd  0.500  0.500  0.176 x2
Pd  0.500  0.500  0.500 x1

***

Most stable to least stable, the ends of the list are one and two.

***

one | RbCdPd3: optimized geometry, PBE.

Lattice parameters (Å, degrees): 5.176 5.176 5.176 90.00 90.00 90.00
Space group Pm-3m (No. 221)
One atom of each set of equivalent atoms:
Rb  0.000  0.000  0.000 x1
Cd  0.500  0.500  0.500 x1
Pd  0.000  0.000  0.500 x3

***

two | RbCdPd3: optimized geometry, PBE.

Lattice parameters (Å, degrees): 5.149 5.149 5.149 90.00 90.00 90.00
Space group Pm-3m (No. 221)
One atom of each set of equivalent atoms:
Rb  0.000  0.000  0.000 x1
Cd  0.500  0.500  0.500 x1
Pd  0.000  0.500  0.500 x3

***

Most stable to least stable, the ends of the list are two and one.
To do =
It remains to print the whole of the listing earlier on unchanged.
Completed =
one | PuCd3Pd: optimized geometry, PBE.

Lattice parameters (Å, degrees): 7.4529 7.4529 15.9037 90.00 90.00 120.00
Space group R3c (No. 161, hexagonal axes)
One atom of each set of equivalent atoms:
Pu  0.0000  0.0000  0.0000 x6
Cd  0.0673  0.5300  0.4805 x18
Pd  0.0000  0.0000  0.1775 x6

***

two | PuCd3Pd: optimized geometry, PBE.

Lattice parameters (Å, degrees): 5.510 5.828 7.558 90.00 110.66 90.00
Space group P2_1/m (No. 11)
One atom of each set of equivalent atoms:
Pu  0.091  0.250  0.389 x2
Cd  0.052  0.250  0.894 x2
Cd  0.490  0.502  0.193 x4
Pd  0.332  0.750  0.466 x2

***

Most stable to least stable, the ends of the list are two and one.

***

one | RbCd4Pd: optimized geometry, PBE.

Lattice parameters (Å, degrees): 5.061 10.107 8.037 90.00 91.33 90.00
Space group P2_1 (No. 4)
One atom of each set of equivalent atoms:
Rb  0.009  0.000  0.260 x2
Cd  0.020  0.000  0.783 x2
Cd  0.482  0.341  0.370 x2
Cd  0.484  0.662  0.368 x2
Cd  0.500  0.250  0.002 x2
Pd  0.475  0.501  0.102 x2

***

two | RbCd4Pd: optimized geometry, PBE.

Lattice parameters (Å, degrees): 5.255 5.255 8.027 90.00 90.00 90.00
Space group P4/mmm (No. 123)
One atom of each set of equivalent atoms:
Rb  0.000  0.000  0.000 x1
Cd  0.000  0.500  0.500 x2
Cd  0.500  0.500  0.176 x2
Pd  0.500  0.500  0.500 x1

***

Most stable to least stable, the ends of the list are one and two.

***

one | RbCdPd3: optimized geometry, PBE.

Lattice parameters (Å, degrees): 5.176 5.176 5.176 90.00 90.00 90.00
Space group Pm-3m (No. 221)
One atom of each set of equivalent atoms:
Rb  0.000  0.000  0.000 x1
Cd  0.500  0.500  0.500 x1
Pd  0.000  0.000  0.500 x3

***

two | RbCdPd3: optimized geometry, PBE.

Lattice parameters (Å, degrees): 5.149 5.149 5.149 90.00 90.00 90.00
Space group Pm-3m (No. 221)
One atom of each set of equivalent atoms:
Rb  0.000  0.000  0.000 x1
Cd  0.500  0.500  0.500 x1
Pd  0.000  0.500  0.500 x3

***

Most stable to least stable, the ends of the list are two and one.